(Activity)
Now restate the listing underneath from the line with "0.3371 0.5" to the end without altering anything.

(Source)
+++
Entry 1:
This record from OMol25 describes one molecule with the formula C17H12N2OS2 in a non-equilibrium geometry. The level of theory is wB97M-V/def2-TZVPD.

As for the energy: -1636.156474 Eh. The HOMO-LUMO gap comes out at 7.011 eV. The SMILES is Cc1cc2c(c(=S)[nH]1)C(=O)N/C2=C\c1csc2ccccc12. Its net charge is 0. The LUMO energy is -0.98 eV.

XYZ file:
```
34
Properties=species:S:1:pos:R:3:forces:R:3:lowdin_charge:R:1
S -0.4470 1.6765 -5.6317 0.4 0.3 -0.3 0.678
S 1.9043 2.5390 3.3279 -0.2 -1.0 -0.1 1.016
O 1.2979 2.9619 -3.0689 -0.7 -2.2 0.7 0.052
N -1.6409 -0.2805 -4.4707 0.3 -0.8 2.9 0.056
N 1.0779 1.6930 -1.1895 -0.1 -0.3 0.6 0.156
C 1.6617 0.8820 3.9291 0.4 0.0 0.6 -0.434
C 0.8428 1.9449 -2.5122 1.7 4.3 -1.9 -0.406
C 1.2089 2.1131 1.7843 0.2 -0.2 0.6 -0.357
C 2.0374 0.3554 5.2032 -0.5 0.2 -1.0 -0.073
C -2.0642 -1.0390 -3.3518 1.4 0.9 0.1 -0.243
C -1.4457 -0.8391 -2.1151 -0.8 -0.1 -0.9 0.036
C 0.7261 -1.2407 3.2534 0.3 -0.9 1.1 -0.015
C -0.6962 0.7390 -4.3103 0.0 0.6 -0.5 -0.722
C 0.1622 0.1879 0.5163 -0.1 0.9 -0.5 0.062
C -3.1200 -2.0894 -3.5640 0.3 0.0 -0.1 -0.031
C 1.0470 0.0839 2.9390 -0.1 0.2 0.3 -0.226
C 0.8093 0.8105 1.6995 -0.2 -0.1 -0.7 -0.247
C -0.0866 0.9507 -2.9904 -1.4 -1.2 -1.5 -0.096
C 1.7109 -0.9721 5.4966 0.8 1.3 -0.1 -0.101
C -0.4544 0.1919 -1.9306 -1.3 -1.3 -0.9 -0.094
C 0.2454 0.6694 -0.7661 0.7 -1.0 3.1 -0.188
C 1.0874 -1.7406 4.5303 -0.7 -0.6 -1.1 -0.091
H 2.0414 -1.3801 6.4547 -0.3 0.0 -0.4 0.108
H -0.5251 -0.6351 0.7207 0.3 0.2 -0.2 0.109
H 1.0943 2.8929 1.0408 -0.1 -0.1 0.3 0.073
H -1.9557 -0.4433 -5.4309 0.0 0.2 0.6 0.131
H 0.2129 -1.9206 2.5486 0.5 0.6 0.4 0.114
H -3.9898 -1.6843 -4.0924 0.2 0.0 0.0 0.087
H 2.5828 0.9634 5.9191 -0.2 0.0 -0.1 0.104
H -1.7961 -1.4822 -1.3171 0.1 0.2 0.1 0.106
H -3.4648 -2.4993 -2.6025 0.3 0.1 -0.4 0.086
H -2.6748 -2.8865 -4.1833 -0.4 0.1 0.2 0.095
H 0.9022 -2.7882 4.7870 -0.1 0.3 -0.3 0.103
H 1.7085 2.2660 -0.6230 -0.6 -0.6 -0.6 0.152
```
Positions in Å, forces in eV/Å.



Entry 2:
This record from OMol25 describes one molecule with the formula C17H13BrFNO4 in a non-equilibrium geometry. The level of theory is wB97M-V/def2-TZVPD.

As for the energy: -3685.147328 Eh. The HOMO-LUMO gap comes out at 7.984 eV. The SMILES is O=C1COCC2=C1[C@@H](c1ccc(F)c(Br)c1)C1=C(O)COCC1=N2. Its net charge is 0. The LUMO energy is -0.80 eV.

XYZ file:
```
37
Properties=species:S:1:pos:R:3:forces:R:3:lowdin_charge:R:1
Br 3.4223 -0.7086 4.1731 -1.1 0.0 -0.1 0.750
F 0.6407 -1.1834 5.7106 0.0 0.3 -0.9 0.035
O -1.0020 2.8453 1.6803 1.0 0.0 -0.6 0.089
O -1.2584 -2.1616 0.0456 1.7 0.5 -1.1 0.061
O 0.8448 -2.4036 -2.8637 -0.1 0.8 0.5 -0.131
O 2.1819 4.0727 0.2017 -1.0 -0.9 -0.1 -0.118
N 2.0735 0.8773 -1.5542 -0.1 0.6 0.4 0.155
C 0.3400 -0.5834 -0.6696 0.6 0.2 -0.7 -0.048
C 2.3324 3.1842 -0.9500 0.1 1.0 0.8 -0.106
C -1.0542 -0.3161 2.5798 1.1 -0.4 1.3 -0.024
C -0.1786 0.4513 0.3371 0.5 -0.6 -0.4 -0.154
C 0.4758 -0.7907 4.4127 0.8 -0.2 0.6 -0.299
C -0.2998 -1.8836 -0.7076 -2.4 -0.7 0.9 -0.306
C 1.7977 -1.3549 -2.5796 -0.5 -0.6 0.4 -0.115
C 1.5933 -0.5358 3.6088 -0.5 0.2 -1.3 -0.558
C 1.3574 -0.3446 -1.5516 -0.8 1.0 1.2 -0.147
C 1.3282 -0.1661 2.2615 1.2 -0.3 1.0 -0.047
C 0.5436 1.7563 0.1727 0.1 2.1 -0.1 -0.046
C 0.8246 4.2010 0.7360 0.5 -0.3 -0.2 -0.090
C -0.8085 -0.6972 3.9225 -1.0 0.0 -0.6 0.017
C 0.0703 2.8923 0.8330 1.5 -2.1 -0.3 -0.183
C 0.0404 -0.0431 1.7660 -0.7 0.1 0.0 -0.219
C 0.1007 -2.9280 -1.7445 0.9 0.2 -0.2 -0.093
C 1.7041 1.8607 -0.7633 -1.8 -2.1 0.0 -0.180
H 0.9095 4.6823 1.7272 0.1 -0.4 -0.5 0.146
H 1.9941 -0.8311 -3.5195 0.0 -0.2 0.1 0.133
H -1.2575 0.6286 0.1511 0.4 -0.4 0.2 0.168
H 0.7334 -3.7026 -1.2394 -0.6 0.4 -0.2 0.145
H -1.6330 -0.9957 4.5855 0.4 0.3 -0.3 0.131
H -2.0465 -0.2997 2.1610 -0.2 0.0 0.1 0.124
H -0.8382 -3.3691 -2.1486 0.8 0.2 0.3 0.145
H 3.3997 3.0261 -1.1798 -0.4 0.4 0.3 0.142
H 0.2065 4.8486 0.1195 0.1 0.4 -0.3 0.130
H 1.8548 3.6653 -1.8068 0.0 0.0 -0.2 0.138
H -1.0956 1.9228 2.0070 -0.1 0.5 -0.2 0.093
H 2.1969 -0.0064 1.5991 -0.6 0.0 0.4 0.126
+++

(Completed)
C -0.1786 0.4513 0.3371 0.5 -0.6 -0.4 -0.154
C 0.4758 -0.7907 4.4127 0.8 -0.2 0.6 -0.299
C -0.2998 -1.8836 -0.7076 -2.4 -0.7 0.9 -0.306
C 1.7977 -1.3549 -2.5796 -0.5 -0.6 0.4 -0.115
C 1.5933 -0.5358 3.6088 -0.5 0.2 -1.3 -0.558
C 1.3574 -0.3446 -1.5516 -0.8 1.0 1.2 -0.147
C 1.3282 -0.1661 2.2615 1.2 -0.3 1.0 -0.047
C 0.5436 1.7563 0.1727 0.1 2.1 -0.1 -0.046
C 0.8246 4.2010 0.7360 0.5 -0.3 -0.2 -0.090
C -0.8085 -0.6972 3.9225 -1.0 0.0 -0.6 0.017
C 0.0703 2.8923 0.8330 1.5 -2.1 -0.3 -0.183
C 0.0404 -0.0431 1.7660 -0.7 0.1 0.0 -0.219
C 0.1007 -2.9280 -1.7445 0.9 0.2 -0.2 -0.093
C 1.7041 1.8607 -0.7633 -1.8 -2.1 0.0 -0.180
H 0.9095 4.6823 1.7272 0.1 -0.4 -0.5 0.146
H 1.9941 -0.8311 -3.5195 0.0 -0.2 0.1 0.133
H -1.2575 0.6286 0.1511 0.4 -0.4 0.2 0.168
H 0.7334 -3.7026 -1.2394 -0.6 0.4 -0.2 0.145
H -1.6330 -0.9957 4.5855 0.4 0.3 -0.3 0.131
H -2.0465 -0.2997 2.1610 -0.2 0.0 0.1 0.124
H -0.8382 -3.3691 -2.1486 0.8 0.2 0.3 0.145
H 3.3997 3.0261 -1.1798 -0.4 0.4 0.3 0.142
H 0.2065 4.8486 0.1195 0.1 0.4 -0.3 0.130
H 1.8548 3.6653 -1.8068 0.0 0.0 -0.2 0.138
H -1.0956 1.9228 2.0070 -0.1 0.5 -0.2 0.093
H 2.1969 -0.0064 1.5991 -0.6 0.0 0.4 0.126